Saturday, June 11, 2011

Zach's Visit to DC - June Edition

So far, 3rd brother Zach has everyone else beat in visiting me in DC - 4 times. 4 TIMES!

Though I suppose that's to be expected, when his job brings him out here every other month this year. Otherwise he'd be at 1 visit, tied with the other Barlow boys. Mom and Dad, Abby - better step up your game.

Z was out here this last week, and we met up after work on Thursday for some dinner and dancing. The dinner was planned. The dancing? Impromptu, but great all the same.

It had been a long, relatively busy day, and I hadn't really had an actual lunch, so by the time Z could make it out to my part of town, I was starving. So I took him across the street to a Mexican restaurant a short block from where I work. I'd seen it many times, but hadn't been in, so I took him with me to try it. 

Turns out, it's quite the popular happy hour/dinner spot for Capitol Hill peeps. I haven't been in such a loud restaurant before. It was crazy. So we pulled out our Chris voices and did our best to hear each other.

Dinner was great, it really hit the spot...and then some. After we finished, we decided to take a walk around the Capitol, to enjoy the view of the mall in twilight and take a look around the place. Plus, it was much easier to hear each other, so we saved any real stories for then. 

We passed the front of the Capitol, spotted some friendly fireflies, and then started going to the back of the Capitol to finish the loop.

This is what we found:

GO DC STATEHOOD! I honestly don't think DC will find itself becoming the 51st state anytime soon - far too many scandals in its governing body every year - but it is certainly a great reason to throw rallies and concerts on the Capitol lawn.

We approached a medium-sized group of people boppin' to a few rappers/hip-hop artists and their supporting trumpet, sax, and whatever other instruments they incorporated. It really was pretty catchy; Z and I found ourselves enjoying the beat and the music for awhile. And the group there had some good dancers as well - at least, there were some dedicated dancers grooving to the beat.

After we busted a few moves of our own on the outskirts of the rally, we continued on our walk, circling around the House-side buildings and traipsing through the Botanic Garden (Note: I looked this up, Z - 'botanical' and 'botanic' are interchangeable, so I'm assuming it would've been hard to fit the extra 'al' on the gate and signs, so DC kept it to 'botanic' for simplicity. And I'm claiming that as fact).

The Botanic Garden was fun to check out. And Z, ever the smartypants, correctly guessed that one of the 2 windmills spun at 200 kw in its energy-gathering efforts. We basked in his amazing reasoning skills/mental capacity for the next few minutes, and then continued on our walk. I pointed out the Magnolia trees lining the sides of the buildings, and we huffed and puffed our way up the very slight hill back to the metro by my building - in our defense, our little tum-tums were still stuffed full, and that hill is deceptively difficult. All the same, good luck on your upcoming bike race, Z - hopefully your endurance can build up a little more somehow between now and then :).

Finally, we left DC and made our way home, sharing a metro ride for 2 stops before I rushed off to grab my transfer (it was  timing at its best - my train pulled up 30 seconds after I got to the platform) and left Z to make his way home down the Orange Line.

And that was the last I saw of Z; he flew home this morning. Hopefully no tornado got in his way returning to StL this time...


DF said...

_The page is interrupted by materials data_
~~~
1.
Density functional theory data (PBE-GGA) for crystalline Sm12Tl5C2 at its relaxed geometry.

Computed properties:
- Total DFT energy (no corrections): -176.5 eV per cell
- Total magnetization: 2.195 μB/f.u.
- D(E_F): 1.0387 states/eV/atom

The structure in CIF format:
```
data_Sm12Tl5C2
_cell_length_a 17.1019
_cell_length_b 7.6442
_cell_length_c 9.8873
_cell_angle_alpha 90.00
_cell_angle_beta 106.83
_cell_angle_gamma 90.00
_space_group_name_H-M_alt 'C 1 2/m 1'
_space_group_IT_number 12
loop_
_space_group_symop_operation_xyz
'x,y,z'
'-x,-y,-z'
'-x,y,-z'
'x,-y,z'
'x+1/2,y+1/2,z'
'-x+1/2,-y+1/2,-z'
'-x+1/2,y+1/2,-z'
'x+1/2,-y+1/2,z'
loop_
_atom_site_label
_atom_site_fract_x
_atom_site_fract_y
_atom_site_fract_z
Sm1 0.0002 0.0000 0.1779
Sm2 0.0115 0.5000 0.8308
Sm3 0.1522 0.2551 0.5774
Sm4 0.1537 0.2506 0.0864
Tl1 0.0000 0.5000 0.5000
Tl2 0.1855 0.0000 0.8402
Tl3 0.1904 0.0000 0.3582
C1 0.0000 0.2518 0.0000
```

2.
Density functional theory data (PBE-GGA) for crystalline Nd3Zn2In2 at its relaxed geometry.

Computed properties:
- Total DFT energy (no corrections): -50.6 eV per cell
- Total magnetization: 0.000 μB/f.u.
- D(E_F): 1.0969 states/eV/atom

The structure in CIF format:
```
data_Nd3Zn2In2
_cell_length_a 4.5157
_cell_length_b 21.7808
_cell_length_c 3.6875
_cell_angle_alpha 90.00
_cell_angle_beta 90.00
_cell_angle_gamma 90.00
_space_group_name_H-M_alt 'C m m m'
_space_group_IT_number 65
_space_group_name_Hall '-C 2 2'
loop_
_atom_site_label
_atom_site_fract_x
_atom_site_fract_y
_atom_site_fract_z
Nd1 0.0000 0.0000 0.0000
Nd2 0.0000 0.1638 0.0000
Zn1 0.0000 0.2809 0.5000
In1 0.0000 0.4184 0.5000
```


TePPb: optimized geometry, GGA-PBEsol.

Values from the calculation:
crystal system = cubic
energy above the most stable polymorph in this dataset = 516 meV per atom
E_tot = -3.829 eV/atom
space group = F-43m (216)

Geometry as CIF:
```
data_TePPb
_chemical_formula_sum 'Te1 P1 Pb1'
_space_group_name_H-M_alt 'P 1'
_space_group_IT_number 1
_space_group_name_Hall 'P 1'
_cell_length_a 4.9942
_cell_length_b 4.9942
_cell_length_c 4.9942
_cell_angle_alpha 60.00
_cell_angle_beta 60.00
_cell_angle_gamma 60.00
loop_
_atom_site_label
_atom_site_type_symbol
_atom_site_fract_x
_atom_site_fract_y
_atom_site_fract_z
Pb1 Pb 0.2500 0.2500 0.2500
Te1 Te 0.0000 0.0000 0.0000
P1 P 0.5000 0.5000 0.5000
```

TePPb3: optimized geometry, GGA-PBEsol.

Values from the calculation:
crystal system = cubic
E_tot = -3.326 eV/atom
space group = Pm-3m (221)

Geometry as CIF:
```
data_TePPb3
_chemical_formula_sum 'Te1 P1 Pb3'
_space_group_name_H-M_alt 'P 1'
_space_group_IT_number 1
_space_group_name_Hall 'P 1'
_cell_length_a 5.8126
_cell_length_b 5.8126
_cell_length_c 5.8126
_cell_angle_alpha 90.00
_cell_angle_beta 90.00
_cell_angle_gamma 90.00
loop_
_atom_site_label
_atom_site_type_symbol
_atom_site_fract_x
_atom_site_fract_y
_atom_site_fract_z
Te1 Te 0.0000 0.0000 0.0000
P1 P 0.5000 0.5000 0.5000
Pb1 Pb 0.5000 0.0000 0.0000
Pb2 Pb 0.0000 0.0000 0.5000
~~~

Surely, I get a little extra credit for bringing Laura!


Kate said...

For sure, you get major props, Ben! And Chris gets a more pumped 1 visit because he brought the boys to help move me out here. So to even be in the same category of visits as you both is a big deal. Until Zach brings Jamie out to accompany him, he needs to visit me all he can to equal your trip.